Little Sound Dj Wiki

How to Program Ghjetto Trippz[]

When starting from scratch.....don't focus on trying to line up triplet phrases with phrases that have a default timing. Instead: merely put a hop on row 0C of each pattern!

then you can do something like a simple kick-snare-kick-snare pattern, but with room to throw trips in at will:

00 D#3 I- 000
01 --- I- 000
02 --- I- 000
03 D#8 I- VFF
04 --- I- K00
05 --- I- 000
06 D#3 I- 000
07 --- I- 000
08 --- I- 000
09 D#8 I- VEF
0A --- I- K00
0B --- I- 000
0C --- I- H00
0D F-6 I- 000
0E A-6 I- 000
0F G-6 I- 000

this method is also nice because it can be used with any groove you like, for funkier trippz =)

How to Program Proper Triplets[]

It's easy to program Triplet Notes by using grooves.

If we assume that the base groove is on 6 ticks, a beat will be all in all 4*6=24 ticks long... Like this (in phrase sequencer):

  Step 0:  6 ticks
  Step 1:  6 ticks
  Step 2:  6 ticks
+ Step 3:  6 ticks
= 1 Beat: 24 ticks

If we want to program a triplet, we want three steps to be exactly as long as a beat. That is, the 24 ticks of a beat should be divided on three steps. 24 divided by 3 gives us 8 ticks a step.

-- Materials data that have nothing to do with the piece --
- - -
Entry 1:
Starting from a structure optimized by DFT (PBE), the powder diffraction line list of ErMg16Al12 was simulated for copper Kα.
Kinematic intensities with the Lorentz-polarization factor, no thermal factor.

Most intense lines, 2θ = 15–90°, by angle:
d/Å	two_theta	I/Imax	index
5.273	16.81	30.3	0 2 1
4.330	20.51	34.1	2 1 1
3.369	26.46	21.4	1 3 1
2.528	35.50	56.6	3 3 0
2.519	35.65	29.8	0 5 1
2.490	36.07	96.1	2 3 2
2.445	36.76	100.0	0 3 3
2.280	39.53	50.5	5 1 1
2.165	41.72	25.0	4 2 2
1.443	64.57	28.2	3 6 3

Atomic structure:
Cell: 15.1707 15.1707 8.8420 Å, 90.00 90.00 120.00°
Space group R3m (No. 160, hexagonal axes)
One atom of each set of equivalent atoms:
Er  0.0000  0.0000  0.0000 [3 per cell]
Mg  0.0000  0.0000  0.6264 [3 per cell]
Mg  0.0325  0.3599  0.9895 [18 per cell]
Mg  0.1061  0.5530  0.1770 [9 per cell]
Mg  0.1101  0.2202  0.1280 [9 per cell]
Mg  0.1993  0.3985  0.7437 [9 per cell]
Al  0.0014  0.1817  0.8125 [18 per cell]
Al  0.1208  0.0604  0.3168 [9 per cell]
Al  0.2121  0.4242  0.2267 [9 per cell]

***

Entry 2:
Starting from a structure optimized by DFT (PBE), the powder diffraction line list of CsAgSb4S7 was simulated for copper Kα.
Kinematic intensities with the Lorentz-polarization factor, no thermal factor.

Most intense lines, 2θ = 15–90°, by angle:
d/Å	two_theta	I/Imax	index
4.118	21.58	86.0	5 1 1
3.868	22.99	66.9	5 1 -2
3.788	23.49	98.6	1 1 -3
3.577	24.89	47.1	2 2 -2
3.485	25.56	92.6	4 2 1
3.439	25.91	57.9	7 1 -1
3.323	26.83	56.8	3 1 3
2.944	30.36	77.1	2 0 4
2.903	30.80	100.0	1 3 -1
2.884	31.01	49.7	1 3 1

Atomic structure:
Cell: 26.463 8.981 12.540 Å, 90.00 97.22 90.00°
Space group C2/c (No. 15)
One atom of each set of equivalent atoms:
Cs  0.000  0.165  0.250 [4 per cell]
Cs  0.250  0.250  0.000 [4 per cell]
Ag  0.242  0.101  0.313 [8 per cell]
Sb  0.073  0.446  0.576 [8 per cell]
Sb  0.080  0.207  0.875 [8 per cell]
Sb  0.141  0.086  0.561 [8 per cell]
Sb  0.148  0.397  0.324 [8 per cell]
S  0.039  0.473  0.890 [8 per cell]
S  0.050  0.178  0.548 [8 per cell]
S  0.110  0.194  0.068 [8 per cell]
S  0.149  0.052  0.369 [8 per cell]
S  0.151  0.321  0.794 [8 per cell]
S  0.164  0.402  0.526 [8 per cell]
S  0.238  0.385  0.304 [8 per cell]

***

Entry 3:
Starting from a structure optimized by DFT (PBE), the powder diffraction line list of NdSnRh was simulated for copper Kα.
Kinematic intensities with the Lorentz-polarization factor, no thermal factor.

Most intense lines, 2θ = 15–90°, by angle:
d/Å	two_theta	I/Imax	index
2.792	32.06	100.0	1 1 1
2.565	34.98	99.5	2 0 1
2.454	36.62	52.8	2 1 0
2.164	41.74	29.2	3 0 0
2.117	42.72	25.8	2 1 1
2.093	43.23	30.7	0 0 2
1.654	55.56	18.0	3 1 1
1.592	57.92	28.5	2 1 2
1.504	61.66	18.3	3 0 2
1.403	66.65	30.7	3 2 1

Atomic structure:
Cell: 7.4964 7.4964 4.1852 Å, 90.00 90.00 120.00°
Space group P-62m (No. 189)
One atom of each set of equivalent atoms:
Nd  0.0000  0.5867  0.0000 [3 per cell]
Sn  0.0000  0.2494  0.5000 [3 per cell]
Rh  0.0000  0.0000  0.0000 [1 per cell]
- - -
-- Here the piece continues --

So we can then program an alternate groove with 8 ticks per step, and the result would be like this:

  Step 0:  8 ticks
  Step 1:  8 ticks
+ Step 2:  8 ticks
= 1 Beat: 24 ticks

A full 4/4 measure of four beats would then be only 3*4=12 custom steps long, so one would have to make the phrase hop to next phrase on step 12 already, by using the H command.

Another way to do it, without using the H command, is to program a groove with a dummy tick; so that a 4/4 measure will fill out all 16 steps in the phrase screen. Like this:

  Step 0:  8 ticks
  Step 1:  8 ticks
  Step 2:  7 ticks
+ Step 3:  1 ticks (dummy tick)
= 1 Beat: 24 ticks

In the phrases, the steps 3, 7, B and F are now dummy steps that should be ignored.

— Johan

When using grooves that's not evenly dividable by 3, I found that the best result is to have fewer ticks in the beginning. Like this:

Using a shuffled feel for 16ths...

Step 0: c ticks
Step 1: 7 ticks

and tripplet 8ths.

Step 0: c ticks 
Step 1: d ticks 
Step 2: d ticks

Or, another shuffled feel for 16ths,

Step 0: a ticks 
Step 1: 7 ticks

will result in the following groove to require tripplet 8ths:

Step 0: b ticks 
Step 1: b ticks 
Step 2: c ticks

— trash

Here's how I do triplets:

Assuming the 16-step phrase represents 1 measure of 4 beats, and the groove for all other channels is 6.

00 C 3 I00 G00
01 C 3 I00 000
02 --- I00 000
03 C 3 I00 000
04 C 3 I00 000
05 C 3 I00 000
06 --- I00 000
07 C 3 I00 000
08 C 3 I00 000
09 C 3 I00 000
0A --- I00 000
0B C 3 I00 000
0C C 3 I00 000
0D C 3 I00 000
0E --- I00 000
0F C 3 I00 000


0 8
1 4
2 4
3 8

Each note gets 8 tics and it lines up with the other channels

Reggæ Swing[]

This is an easy way to create reggae like swing using grooves:

0 9
1 6
2 3
3 6

You may increase/decrease the amount of swing by modifying the 9 and 3. Note that you should try to keep those four numbers so they add up to 24, so that the bpm is true and you don't end up with an out of sync song (if you dont want to).

let the chip reggae orgy commence!
